1 – 8 MW
Fuel – wood (saw-dust, chips, bark, off-cuts) with a humidity of up to 60% (occasionally up to 70%)
The boiler is designed for heat generators in municipal boiler plants and in industry.
Biomass combustion has its pitfalls, though. Biomass-based “clean” fuel has become very popular, in particular pellets and briquettes which are in fashion today. Upon the launch of such projects, however, their price relative to their calorific value has come close to the prices of natural gas. These prices will probably increase with higher demand, given their low humidity, high calorific value and relative comfort with this type of fuel. In spite of that it is a positive shift from the supply of natural gas to domestic energy sources and also with regard to environmental impacts.
The buyer of pellets and briquettes pays not only the price of the biomass, but also the energy used to process them to acquire their final form. The question is whether there is a cheaper alternative. VESKO-B boilers, for example, could be an answer. These boilers are specially designed for the combustion of wood waste which cannot be otherwise used for industrial purposes. Bark, wood particles, waste, saw-dust, straw or chips can all be combusted. Unsorted waste is also incinerated without problems thanks to the extremely good through-flow capacity of the boiler´s transport routes. Without stopping or damaging the boiler, a brick, stone or other similar waste can pass through these routes without problem. The boiler´s tolerance against fuel humidity is also high. The boiler parameters are designed for 50% humidity. The boiler, however, also combusts fuel with 70% humidity. According to operators, it is common in winter that fuel is supplied to the boiler in frozen state, together with snow. The fuel is pushed towards the burning grate by a heated tunnel, thanks to which it is pre-dried.
Description of the VESKO-B boiler
The VESKO-B boiler has a self-supporting, entirely welded box construction. The lower part of the boiler is formed by a furnace chamber with an inclined sliding grate. The grate is controlled by a hydraulic mechanism and is cooled by conditioned primary air. A pressurised section is placed on the furnace chamber. The boiler is furnished with thermal insulation and is covered by a steel sheet with a plastic cover. The fuel is conveyed to the boiler by means of a hydraulic fuel charger. The fuel is pressed through a heating tunnel (heating by hot water) and is pre-dried before getting to the burning grate. The boiler is equipped with control automatics which can run in an autonomous mode (without the use of a parent computer) or in a mode controlled by the central computer of the entire boiler plant.

1. Input nozzle
2. Grate
3. Secondary air
4. Whirl chamber
5. After-burning chamber
6. Tubular exchanger
7. Air fans
8. Ash removal
9. Fuel charging press
Purpose of the VESKO-B boiler
VESKO-B boilers are designed for central heating plants and industrial boiler plants. This concept allows the manufacturing of boilers with optimum parameters according to the specific requirements of the hot water network within the following range:
- Thermal output: 1,0 – 10,0 MW
Misplaced records of crystals:
(1)
Starting from a PBE-relaxed structure, the X-ray powder pattern of Nd3SmTm3S8 was computed for Cu Kα.

Principal peaks in the range 5° ≤ 2θ ≤ 70°, in order of rising 2θ:
d 3.265, I = 18; d 3.216, I = 52; d 2.796, I = 100; d 1.988, I = 36; d 1.966, I = 35; d 1.608, I = 18

Atomic structure:
```
Nd3SmTm3S8
1.0
3.9313 2.2697 6.5309
-3.9313 2.2697 6.5309
0.0000 -4.5394 6.5309
Nd Sm Tm S
3 1 3 8
Cartesian
-1.9656 -1.1349 6.5309
-1.9656 1.1349 13.0618
0.0000 2.2697 6.5309
0.0000 0.0000 9.7963
-3.9312 0.0000 9.7963
-1.9656 1.1349 3.2654
1.9656 1.1349 3.2654
-2.0409 -1.1783 11.3552
0.0000 0.0000 4.7666
0.0000 -2.3567 8.2375
-2.0409 1.1783 8.2375
2.0409 -1.1783 11.3552
0.0000 2.3567 11.3552
0.0000 0.0000 14.8261
2.0409 1.1783 8.2375
```

(2)
Starting from a PBE-relaxed structure, the X-ray powder pattern of PmGe2RuRh was computed for Cu Kα.

Principal peaks in the range 5° ≤ 2θ ≤ 70°, in order of rising 2θ:
d 2.655, I = 59; d 2.584, I = 100; d 2.117, I = 58; d 1.655, I = 28; d 1.497, I = 19; d 1.481, I = 20

Atomic structure:
```
PmGe2RuRh
1.0
4.2345 0.0000 0.0000
0.0000 4.2345 0.0000
0.0000 0.0000 10.2248
Pm Ge Ru Rh
2 4 2 2
Cartesian
0.0000 0.0000 0.0000
2.1172 2.1172 5.1124
0.0000 0.0000 3.8061
0.0000 0.0000 6.4187
2.1172 2.1172 1.3063
2.1172 2.1172 8.9185
0.0000 2.1172 2.5562
2.1172 0.0000 7.6686
0.0000 2.1172 7.6686
2.1172 0.0000 2.5562
```

(3)
Starting from a PBE-relaxed structure, the X-ray powder pattern of Ba2PmBiO6 was computed for Cu Kα.

Principal peaks in the range 5° ≤ 2θ ≤ 70°, in order of rising 2θ:
d 3.121, I = 100; d 3.109, I = 100; d 2.205, I = 36; d 1.798, I = 43; d 1.794, I = 22; d 1.392, I = 18

Atomic structure:
```
Ba2PmBiO6
1.0
6.2500 0.0000 0.0000
0.0000 6.2249 0.0000
-6.2013 0.0000 8.7889
Ba Pm Bi O
4 2 2 12
Cartesian
-0.0268 0.0904 2.1874
-3.1274 3.0220 6.5819
3.1761 3.2029 2.2070
0.0755 6.1345 6.6014
3.1250 0.0000 0.0000
0.0244 3.1124 4.3944
-3.1006 0.0000 4.3944
0.0000 3.1124 0.0000
-4.8183 1.4991 8.4659
-1.7177 1.6133 4.0715
-4.6013 4.5090 8.4705
-1.5007 4.8283 4.0761
-2.6690 0.0583 6.5003
0.4316 3.0541 2.1059
-0.3829 3.1707 6.6830
2.7178 6.1666 2.2886
1.5494 1.3965 4.7128
4.6500 1.7159 0.3184
1.7664 4.6115 4.7174
4.8670 4.7258 0.3230
```

(4)
Starting from a PBE-relaxed structure, the X-ray powder pattern of PrNdPt6 was computed for Cu Kα.

Principal peaks in the range 5° ≤ 2θ ≤ 70°, in order of rising 2θ:
d 2.705, I = 26; d 2.420, I = 100; d 2.209, I = 59; d 1.501, I = 23; d 1.446, I = 31; d 1.353, I = 14

Atomic structure:
```
PrNdPt6
1.0
5.4104 0.0000 0.0000
Back to the piece:
- Operating over-pressure: 0,3 – 1,0 MPa
- Operating temperature: 90–130°C
VESKO-B boilers burn biomass on sliding grates. There is a suitably shaped vault above the boiler which induces a counter-current arrangement of the combustion products, which helps to reduce the time for the drying of the fuel. This construction of the furnace chamber, along with the use of a fuel transport by means of a hydraulic discharger with a large through-flow capacity, makes it possible to burn wooden material of a lesser quality produced during wood processing in sawmills, or during lumbering, forest works, etc. It is a mixture of sawdust, clippings, bark, wood chips, shavings, etc.
The system of fuel feeding corresponds to the type of the used fuel. The biomass is transported from the fuel stocks to the vertical interim storage, from where it is transported to the furnace chamber of the boiler by means of the hydraulic fuel charger.
Benefits of the VESKO-B boiler design
- Self-cleansing of the boiler
The inclined grate, the shape of the ceramic vault, and grate ash falling to the ash container without having to crush the slag permit the burning of very fusible materials.
The large after-burning chamber with proper inclination of the vault eliminates up to 40% of the escaping light ash.
Misplaced calculated crystals
____________
(1)
Diffraction record for Pm6Sn2C. The powder X-ray diffraction pattern is theoretical, not measured: it uses a crystal structure in Alexandria, relaxed with PBE and Cu Kα.
Kinematic intensities with the Lorentz-polarization factor, no thermal factor.

Crystal structure
```
data_Pm6Sn2C
_cell_length_a 7.092
_cell_length_b 7.092
_cell_length_c 10.058
_cell_angle_alpha 90.00
_cell_angle_beta 90.00
_cell_angle_gamma 90.00
_symmetry_space_group_name_H-M 'I 4/m m m'
_symmetry_Int_Tables_number 139
_symmetry_space_group_name_Hall '-I 4 2'
loop_
_atom_site_label
_atom_site_type_symbol
_atom_site_fract_x
_atom_site_fract_y
_atom_site_fract_z
_atom_site_occupancy
Pm1 Pm 0.000 0.000 0.246 1
Pm2 Pm 0.246 0.246 0.000 1
Sn1 Sn 0.000 0.500 0.250 1
C1 C 0.000 0.000 0.000 1
```

Largest 9 diffraction maxima, low angle first, 5 to 70 degrees two-theta:
15.29°, 5.796 Å, I 0.6, hkl 1 0 1
17.67°, 5.019 Å, I 1.1, hkl 0 0 2
30.86°, 2.898 Å, I 100.0, hkl 2 0 2
35.71°, 2.514 Å, I 17.6, hkl 0 0 4
35.81°, 2.507 Å, I 35.0, hkl 2 2 0
51.50°, 1.775 Å, I 37.2, hkl 4 0 0
61.15°, 1.515 Å, I 14.4, hkl 2 0 6
61.30°, 1.512 Å, I 28.6, hkl 4 2 2
64.29°, 1.449 Å, I 12.7, hkl 4 0 4

=====

(2)
Diffraction record for NaH3C4O5. The powder X-ray diffraction pattern is theoretical, not measured: it uses a crystal structure in Alexandria, relaxed with PBE and Cu Kα.
Kinematic intensities with the Lorentz-polarization factor, no thermal factor.

Crystal structure
```
data_NaH3C4O5
_cell_length_a 3.945
_cell_length_b 8.160
_cell_length_c 9.838
_cell_angle_alpha 90.00
_cell_angle_beta 103.54
_cell_angle_gamma 90.00
_symmetry_space_group_name_H-M 'P 1 c 1'
_symmetry_Int_Tables_number 7
loop_
_symmetry_equiv_pos_as_xyz
'x,y,z'
'x,-y,z+1/2'
loop_
_atom_site_label
_atom_site_type_symbol
_atom_site_fract_x
_atom_site_fract_y
_atom_site_fract_z
_atom_site_occupancy
Na1 Na 0.000 0.141 0.000 1
H1 H 0.602 0.041 0.200 1
H2 H 0.614 0.234 0.206 1
H3 H 0.792 0.495 0.367 1
C1 C 0.185 0.256 0.559 1
C2 C 0.188 0.439 0.562 1
C3 C 0.445 0.436 0.693 1
C4 C 0.454 0.258 0.696 1
O1 O 0.026 0.149 0.479 1
O2 O 0.028 0.448 0.983 1
O3 O 0.583 0.141 0.140 1
O4 O 0.605 0.448 0.275 1
O5 O 0.618 0.152 0.777 1
```

Largest 10 diffraction maxima, low angle first, 5 to 70 degrees two-theta:
14.27°, 6.208 Å, I 12.9, hkl 0 1 1
18.55°, 4.782 Å, I 14.5, hkl 0 0 2
25.37°, 3.510 Å, I 11.2, hkl 1 1 -1
26.16°, 3.406 Å, I 100.0, hkl 1 0 -2
32.93°, 2.720 Å, I 22.7, hkl 0 3 0
33.19°, 2.699 Å, I 21.7, hkl 1 0 2
35.74°, 2.512 Å, I 11.3, hkl 0 2 3
37.62°, 2.391 Å, I 8.3, hkl 0 0 4
42.53°, 2.126 Å, I 13.6, hkl 1 3 -2
47.43°, 1.917 Å, I 15.0, hkl 2 0 0

=====

(3)
Diffraction record for K6RbNa5. The powder X-ray diffraction pattern is theoretical, not measured: it uses a crystal structure in Alexandria, relaxed with PBE and Cu Kα.
Kinematic intensities with the Lorentz-polarization factor, no thermal factor.

Crystal structure
```
data_K6RbNa5
_cell_length_a 6.537
_cell_length_b 19.141
_cell_length_c 10.887
_cell_angle_alpha 90.00
____________
The calculated crystals stop here
The cooling down of the combustion products in the after-burning chamber to a temperature under the melting temperature of the light ash prevents it from being baked onto the fire tubes of the exchanger;
The vertical orientation of the fire tubes of the exchanger prevents the coating of the exchanger with drifting light ash, which is led off from the reversing chamber into the container.
- Large through-flow capacity of the boiler
The transport routes of the fuel consist of a complex system of feeders with a lineal reversible motion caused by hydraulic cylinders. The complete route has a large through-flow capacity (minimum cross-section 1,200x280mm). The transport route is not inclined to blockage (screw feeders or turnstiles, for example, are not able to transport uncrushed bark, and they are inclined to become blocked through the influence of the chords of uncrushed bark). The transport routes can transport even a large percentage of non-combustible admixtures (rocks, pieces of steel etc.).
- Container for grate ash
Grate ash falls into a container which is connected by a special mechanism directly to the boiler; together with the boiler, it forms a single space. There is no closing element included that could reduce the through-flow capacity for the ash.
- Perfect automation of the boiler
Calculated crystals, kept here for reference:
~~~
Calculated powder XRD pattern
Compound: KAlFe2F2
Radiation: a wavelength of 1.5418 Å
Structure: a crystal structure in Alexandria, relaxed with GGA+U
Intensities are scaled so that the largest is 100.

Structure:
Cell lengths 6.492, 6.492, 6.644 Å; angles 90.00, 90.00, 90.00 degrees
Sites, in units of the cell vectors:
K1 0.000 0.500 0.000
K2 0.500 0.000 0.000
Al1 0.000 0.000 0.500
Al2 0.500 0.500 0.500
Fe1 0.142 0.358 0.500
Fe2 0.358 0.858 0.500
Fe3 0.642 0.142 0.500
Fe4 0.858 0.642 0.500
F1 0.000 0.000 0.223
F2 0.000 0.000 0.777
F3 0.500 0.500 0.223
F4 0.500 0.500 0.777

Peak list (10 most intense, 5 to 70 degrees two-theta, in order of rising 2θ)
- 13.3 deg, d 6.644, rel. 100, (0 0 1)
- 26.8 deg, d 3.322, rel. 43, (0 0 2)
- 27.5 deg, d 3.246, rel. 26, (2 0 0)
- 30.8 deg, d 2.903, rel. 44, (2 1 0)
- 33.3 deg, d 2.691, rel. 42, (1 1 2)
- 33.7 deg, d 2.660, rel. 68, (2 1 1)
- 41.3 deg, d 2.186, rel. 38, (2 1 2)
- 46.3 deg, d 1.962, rel. 53, (3 1 1)
- 51.9 deg, d 1.761, rel. 18, (2 1 3)
- 61.6 deg, d 1.506, rel. 29, (3 1 3)
~~~
The combustion has been optimised on the basis of a vacuum pressure in the combustion chamber and according to excess oxygen in the combustion products. The fuel feed and the movement on the grate is regulated according to the fuel characteristics.
All measured parameters, interventions of the safety equipment and defects are transmitted to the dispatching system.